Heriot-Watt University: Equality and Privacy Impact Assessment Form
School / Area / Person responsible for the assessment / Date of EIA
Name of the Policy/Process to be assessed. / Is this a new or existing policy? (please circle) / NEW / EXISTING / Does the policy impact on people? / Yes / No
(No EIA required go to
Q 14)
1. Briefly describe the aims, objectives and purpose of the policy.
2. Are there any associated objectives of the policy, please explain.
-- Inserted here: records of crystals --
-- begin --
# GGA-PBE ScFeGe, optimized geometry
data_ScFeGe
_cell_length_a 6.4961
_cell_length_b 6.4961
_cell_length_c 3.9612
_cell_angle_alpha 90.00
_cell_angle_beta 90.00
_cell_angle_gamma 120.00
_symmetry_space_group_name_H-M 'P -6 2 m'
_symmetry_Int_Tables_number 189
_symmetry_space_group_name_Hall 'P -6 -2'
loop_
_atom_site_label
_atom_site_type_symbol
_atom_site_fract_x
_atom_site_fract_y
_atom_site_fract_z
_atom_site_occupancy
Sc1 Sc 0.0000 0.5782 0.0000 1
Fe1 Fe 0.0000 0.2275 0.5000 1
Ge1 Ge 0.0000 0.0000 0.0000 1
Ge2 Ge 0.3333 0.6667 0.5000 1
# V (Å³/atom): 16.085
# E_tot (eV/atom): -7.030

* * * * *

# Al2H12Se3O15 | Materials Project | GGA-PBE | relaxed
# theoretical density	2.45	g/cm³
# calculated formation energy	-1.612	eV/atom
# relative energy among the computed polymorphs	0.0000	eV per atom
# total energy	-5.44	eV/atom
data_Al2H12Se3O15
_chemical_formula_sum 'Al4 H24 Se6 O30'
_cell_length_a 8.8169
_cell_length_b 8.8169
_cell_length_c 10.9391
_cell_angle_alpha 90.00
_cell_angle_beta 90.00
_cell_angle_gamma 120.00
_symmetry_space_group_name_H-M 'P -6 2 c'
_symmetry_Int_Tables_number 190
_symmetry_space_group_name_Hall 'P -6c -2c'
loop_
_atom_site_label
_atom_site_type_symbol
_atom_site_fract_x
_atom_site_fract_y
_atom_site_fract_z
Al1 Al 0.3333 0.6667 0.0346
H1 H 0.0591 0.4766 0.5927
H2 H 0.1995 0.4166 0.6320
Se1 Se 0.1222 0.7390 0.2500
O1 O 0.0933 0.7697 0.7500
O2 O 0.1293 0.6135 0.1279
O3 O 0.1674 0.4763 0.5667

* * * * *

Below is a relaxed CaFeO2 crystal, with properties calculated at the PBE+U level.

Calculated values
For the formation energy, the calculation gives -2362 meV per atom. The value obtained for the total energy is -104.76 eV per cell.

Geometry as CIF:
```
data_CaFeO2
_chemical_formula_sum 'Ca4 Fe4 O8'
_cell_length_a 3.2565
_cell_length_b 7.9143
_cell_length_c 8.0200
_cell_angle_alpha 107.97
_cell_angle_beta 90.10
_cell_angle_gamma 90.70
_space_group_name_H-M_alt 'P -1'
-- stop --
-- Back to the entry --
3. Who is intended to benefit from the policy and in what way?
4. Is any data available about the policy, e.g. feedback from users?
5. What outcomes are wanted from this policy?
6. What factors/forces could contribute/detract from the outcomes?
7. The Equality Act 2010 includes a requirement to give 'due regard' to the public sector equality duty (PSED) in all functions. There is a specific duty to assess the impact of proposed new or revised policies and practices against three needs of the general duty. Use this section to outline relevant issues.
Eliminate unlawful discrimination, harassment and victimisation / Advance equality of opportunity between people of different groups / Foster good relations between people of different groups
• Between two parts of the text: records of crystals:
********
1.
Density functional theory data (r²SCAN) for a relaxed structure of Yb2MgTl.

abc: 5.2239 5.2239 5.2239
angles: 60.00 60.00 60.00
Element x y z (fractional)
Mg: 0.5000 0.5000 0.5000
Tl: 0.0000 0.0000 0.0000
Yb: 0.7500 0.7500 0.7500
Yb: 0.2500 0.2500 0.2500

Properties
- calculated formation energy (eV/atom) = -0.246
- total magnetic moment (μB/f.u.) = 0.02
- space-group type = Fm-3m (225)


2.
Density functional theory data (r²SCAN) for a relaxed structure of Ti3SnH.

abc: 4.1661 4.1667 4.1650
angles: 90.00 90.00 90.00
Element x y z (fractional)
Sn: 0.0000 0.0000 0.0000
Ti: 0.5000 0.0000 0.5000
Ti: 0.0000 0.5000 0.5000
Ti: 0.5000 0.5000 0.0000
H: 0.5000 0.5000 0.5000

Properties
- calculated formation energy (eV/atom) = -0.434
- total magnetic moment (μB/f.u.) = 1.17
- space-group type = Pm-3m (221)


3.
Density functional theory data (r²SCAN) for a relaxed structure of La2BiN.

abc: 4.8341 4.8341 9.5623
angles: 90.00 90.00 90.00
Element x y z (fractional)
Bi: 0.5000 0.0000 0.6988
Bi: 0.0000 0.5000 0.3012
La: 0.0000 0.0000 0.0000
La: 0.5000 0.0000 0.3248
La: 0.0000 0.5000 0.6752
La: 0.5000 0.5000 0.0000
N: 0.0000 0.5000 0.9124
N: 0.5000 0.0000 0.0876

Properties
- calculated formation energy (eV/atom) = -1.511
- total magnetic moment (μB/f.u.) = 0.00
- space-group type = P4/nmm (129)


4.
Density functional theory data (r²SCAN) for a relaxed structure of LiZr2Ir.

abc: 4.6600 4.6600 4.6600
angles: 60.00 60.00 60.00
Element x y z (fractional)
Zr: 0.7500 0.7500 0.7500
Zr: 0.2500 0.2500 0.2500
Ir: 0.5000 0.5000 0.5000
Li: 0.0000 0.0000 0.0000

Properties
- calculated formation energy (eV/atom) = -0.552
- total magnetic moment (μB/f.u.) = 0.00
- space-group type = Fm-3m (225)


5.
Density functional theory data (r²SCAN) for a relaxed structure of SrAcZn2.

abc: 5.5030 5.5030 5.5030
angles: 60.00 60.00 60.00
Element x y z (fractional)
Sr: 0.7500 0.7500 0.7500
Ac: 0.2500 0.2500 0.2500
Zn: 0.0000 0.0000 0.0000
Zn: 0.5000 0.5000 0.5000

Properties
- calculated formation energy (eV/atom) = -0.215
- total magnetic moment (μB/f.u.) = 0.00
- space-group type = Fm-3m (225)


6.
Density functional theory data (r²SCAN) for a relaxed structure of PrScGe.

abc: 8.6237 8.6237 8.6237
angles: 150.87 150.87 41.67
Element x y z (fractional)
Ge: 0.1209 0.1209 0.0000
Ge: 0.8791 0.8791 0.0000
Pr: 0.6771 0.6771 0.0000
Pr: 0.3229 0.3229 0.0000
Sc: 0.0000 0.5000 0.5000
Sc: 0.5000 0.0000 0.5000

Properties
- calculated formation energy (eV/atom) = -0.819
- total magnetic moment (μB/f.u.) = 1.02
- space-group type = I4/mmm (139)

* * * * *

Material: Mg3Sb2
Method: DFT, meta-GGA r2SCAN
State: optimized geometry

Structure (POSCAR):
```
Mg3Sb2
1.0
-0.425 -0.047 4.552
0.025 -3.931 -2.335
7.205 -0.351 0.669
Mg Sb
3 2
direct
0.000 0.000 0.000
0.333 0.667 0.367
0.667 0.333 0.633
0.333 0.667 0.772
0.667 0.333 0.228
```

Calculated values
Calculated total energy   -66.3 eV/cell
SG   P-3m1, No. 164
Calculated formation energy   -46 kJ/mol of atoms
********
• The records of crystals stop here:
8. Do you have any concerns that the policy could have a differential impact on any of the Protected Characteristic groups*? Detail any relevant information.
9. What are the risks associated with the policy in relation to differential impact?
10. Could the differential impact identified in 6-11 amount to there being the potential for adverse impact in this policy? If no, outline why and go to question 12. / YES / NO / Please Explain
11. Can this adverse impact be justified on the grounds of promoting equality of opportunity for one group? Or any other reason. / YES / NO / Please Explain
12. Demonstrate how you have involved stakeholders in the EIA.
13. Date EIA Completed. / 14. Date for future review of policy/function.

* It may be beneficial to give particular consideration to the Protected Characteristic groups in your impact assessment. The Protected Characteristics covered by the Equality Act 2010 are: Age, Disability, Race, Religion and Belief (including no belief), Sex, Sexual Orientation, Pregnancy and Maternity, Gender Reassignment, Marriage and Civil Partnership

Privacy Impact Assessment
14. Does implementation of the policy or procedure necessitate processing information about people who can be identified from that information or in combination with other information / YES / NO
(No PIA required) / Please summarise the categories, if not listed in 15, below
15. Does implementation of the policy or procedure necessitate processing sensitive or otherwise confidential personal data? Please highlight any affected categories / Physical or mental health / Political opinions or membership of a trade union / Sexual life / Proven or alleged offences / Other – please
Specify below
Race or ethnic origin / Religion and belief (including lack of belief) / Gender Reassignment / Information that could be used to commit identity fraud / N/A
_Next to the piece, the page also holds records of crystals_
Record 1
Computed, not measured: CaCr4O9 after structural relaxation at the PBE with a Hubbard U level of DFT.

Geometry as CIF:
```
data_CaCr4O9
_space_group_name_H-M_alt 'P 1'
_space_group_IT_number 1
_cell_length_a 8.457
_cell_length_b 8.457
_cell_length_c 5.186
_cell_angle_alpha 90.00
_cell_angle_beta 90.00
_cell_angle_gamma 90.00
loop_
_space_group_symop_operation_xyz
'x,y,z'
loop_
_atom_site_label
_atom_site_fract_x
_atom_site_fract_y
_atom_site_fract_z
_atom_site_occupancy
Ca1 0.250 0.250 0.139 1
Ca2 0.750 0.750 0.861 1
Cr1 0.038 0.659 0.390 1
Cr2 0.159 0.962 0.610 1
Cr3 0.341 0.538 0.610 1
Cr4 0.462 0.841 0.390 1
Cr5 0.538 0.159 0.610 1
Cr6 0.659 0.462 0.390 1
Cr7 0.841 0.038 0.390 1
Cr8 0.962 0.341 0.610 1
O1 0.013 0.321 0.922 1
O2 0.039 0.146 0.464 1
O3 0.146 0.461 0.464 1
O4 0.179 0.013 0.922 1
O5 0.250 0.750 0.500 1
O6 0.321 0.487 0.922 1
O7 0.354 0.039 0.464 1
O8 0.461 0.354 0.464 1
O9 0.487 0.179 0.922 1
O10 0.513 0.821 0.078 1
O11 0.539 0.646 0.536 1
O12 0.646 0.961 0.536 1
O13 0.679 0.513 0.078 1
O14 0.750 0.250 0.500 1
O15 0.821 0.987 0.078 1
O16 0.854 0.539 0.536 1
O17 0.961 0.854 0.536 1
O18 0.987 0.679 0.078 1
```

Calculated values
Calculated total energy ... -7.145 eV per atom
Total moment ... 16.00 Bohr magnetons per cell
Space group ... P4/n, No. 85
Calculated density ... 3.510 g/cm3
Energy with MP2020 corrections ... -8.16 eV per atom

***

Record 2
Computed, not measured: Ca2CrO5 after structural relaxation at the PBE with a Hubbard U level of DFT.

Geometry as CIF:
```
data_Ca2CrO5
_space_group_name_H-M_alt 'P 1'
_space_group_IT_number 1
_cell_length_a 8.622
_cell_length_b 8.622
_cell_length_c 8.622
_cell_angle_alpha 52.63
_cell_angle_beta 144.42
_cell_angle_gamma 142.54
loop_
_space_group_symop_operation_xyz
'x,y,z'
loop_
_atom_site_label
_atom_site_fract_x
_atom_site_fract_y
_atom_site_fract_z
_atom_site_occupancy
Ca1 0.052 0.143 0.195 1
Ca2 0.052 0.357 0.410 1
Ca3 0.948 0.643 0.590 1
Ca4 0.948 0.857 0.805 1
Cr1 0.499 0.499 0.000 1
Cr2 0.499 0.999 0.500 1
O1 0.029 0.009 0.520 1
O2 0.082 0.253 0.746 1
O3 0.082 0.835 0.328 1
O4 0.467 0.692 0.974 1
O5 0.467 0.993 0.275 1
O6 0.488 0.509 0.480 1
O7 0.507 0.335 0.254 1
O8 0.507 0.753 0.672 1
O9 0.718 0.192 0.725 1
O10 0.718 0.493 0.026 1
```

Calculated values
Calculated total energy ... -6.467 eV per atom
Total moment ... 0.89 Bohr magnetons per cell
Space group ... Ima2, No. 46
Calculated density ... 3.124 g/cm3
Energy with MP2020 corrections ... -7.15 eV per atom

***

Record 3
Computed, not measured: CaCrO2 after structural relaxation at the PBE with a Hubbard U level of DFT.

Geometry as CIF:
```
data_CaCrO2
_space_group_name_H-M_alt 'P 1'
_space_group_IT_number 1
_cell_length_a 9.254
_cell_length_b 9.254
_cell_length_c 9.524
_cell_angle_alpha 113.68
_cell_angle_beta 113.68
_cell_angle_gamma 19.28
loop_
_space_group_symop_operation_xyz
'x,y,z'
loop_
_atom_site_label
_atom_site_fract_x
_atom_site_fract_y
_atom_site_fract_z
_atom_site_occupancy
Ca1 0.014 0.014 0.301 1
_Back to the piece_
Please summarise any other information processed that would cause significant damage or distress to people if disclosed without their consent
16.Have you agreed actions with the Head of Heritage and Information Governanceto manage the data securely? If yes, please indicate the actions agreed / Yes / Data minimisation / Staff training / Secure communication / Disclosure/data sharing protocols
No: to be agreed on [date] / Physical security controls / IT security / Retention policy / Secure destruction
17. Date PIA Completed / 18. Date for future review of policy/function